A Weekend with Loaves and Fishes with Sybille van Kempen
Few people can say that they published a book during quarantine — and even fewer can say that they published three for every season.
Few people can say that they published a book during quarantine — and even fewer can say that they published three for every season. Sybille van Kempen, Hampton restauranteur and family foodie, spent her 2020 collaborating with chef Licia Kassim Householder on a series of cookbooks celebrating farm-to-table ingredients and meals. Like many of her business endeavors, cookbooks run in the family.
Sybille came to the US at age 4 when her family left Wanderup, a German town on the Danish border. Her mother, Anna Pump, opened the first family business, Loaves & Fishes Foodstore, in 1980. Having inherited the timeless Scandinavian touch as well as plenty of recipes, Sybille penned The Loaves and Fishes Party Cookbook with her mother in 1990. Two more restaurants, a dozen cookbooks, and plenty of recipes later, Sybille continues to lead by her mother’s example.
While her own children have taken over management and mixology positions in the family business, she also continues to provide farm-fresh food and recipes to her local community and beyond. Find some of Sybille’s farm-fresh tips & family favorites below.

Saturday ritual?
Owning retail businesses means Saturday is a super busy day that starts off earlier than most. My husband Gerrit and I are both up with the sun. Then, a foamy coffee for him and a delicious large mug of tea with milk and honey for me with the paper. After that, I walk and feed our two beautiful Great Danes, followed by a dip in the pool May through October.
My beauty ritual is simple: soap, shampoo and plenty of hot water! Stepping out with our best foot forward, we each head for our own locations. Gerrit oversees our Loaves and Fishes Cookshop, and I enter the back kitchen door of Loaves and Fishes in Sagaponack with pride and a warm “good morning” for all!
This is one of my favorite parts of the day, when I can share meaningful moments with our customers – some I know so well, while others are brand new to us.
By 3 p.m., I have finished my work at the food store and move on to the Bridgehampton Inn and Restaurant, where I find another amazing team getting ready for dining under the stars in all seasons. Gerrit and I meet for an early dinner together to test the new menu, which changes every month. Chef Brian continues to delight us with delicious and unexpected dishes—a culinary genius, joyful in his ventures.
Gerrit then heads home to feed those hungry pups and I stay for a few hours to welcome our guests. This is one of my favorite parts of the day, when I can share meaningful moments with our customers – some I know so well, while others are brand new to us. There are so many beautiful celebrations and stories to be retold.
Sunday run or relax?
RELAX for the first few hours. Typically, I’m lingering over The New York Times Sunday sections and a delicious breakfast of perhaps a soft boiled egg, my daughter’s cinnamon bread toast, and that large mug of sweet tea! We both return to our shops for the day, enjoying a slower pace. Today, I have more time to show our customers my new farm cookbook series, sharing the story of their creation, with my co-author Licia Kassim Householder (also my executive pastry chef). Standing in my shop, surrounded by abundant farm fields, brings the farmer’s stories and our recipes to life.
Experience that with us if you can visit and follow our journey of the 12 farm series books throughout the year!
Your everyday beauty routine?
I use Bobbi Brown Gel Moisturizer daily on my face and neck, and Nivea for all else. Additional fragrances are not welcome in the kitchen, where the smells of food are my intoxication. Drinking plenty of water is a steady routine I do without thinking.
Favorite homemade meal?
Something fresh from the grill in summer, and a warm pasta dish in winter. Food from the grill is magical; it transforms into the most satisfying amalgamation of textures and flavors because of the sear. The charred crisp exterior explodes with juices and amazing flavor when released with a razor-edged knife. Warm pasta is one of my all-time favorites any time of year, topped with freshly grated Parmesan Reggiano—real comfort food for me!
The casting for a perfect dinner party?
My mother, Anna Pump, for her culinary curiosity and genius at entertaining. My father, Detlef Pump, for the beautiful spirit and wonderful conversationalist he was. And finally, my three grown children, each with a guest of their choice. Always interesting if it’s an awkward mix!
### Crystal structures, kept here for reference
'''
1.
Density functional theory data (r2SCAN) for an optimized crystal structure of ThRe2.

Calculated values
formation energy from the elements = -31 kJ/mol of formula units
symmetry = P6_3/mmc, No. 194
total magnetization = 0.00 Bohr magnetons per cell

abc: 5.3728 5.3728 9.4820
angles: 90.00 90.00 120.00
Fractional coordinates of all 12 atoms:
Th: 0.6667 0.3333 0.5599
Th: 0.3333 0.6667 0.4401
Th: 0.6667 0.3333 0.9401
Th: 0.3333 0.6667 0.0599
Re: 0.8310 0.6621 0.2500
Re: 0.3379 0.1690 0.2500
Re: 0.6621 0.8310 0.7500
Re: 0.1690 0.8310 0.7500
Re: 0.8310 0.1690 0.2500
Re: 0.1690 0.3379 0.7500
Re: 0.0000 0.0000 0.0000
Re: 0.0000 0.0000 0.5000

2.
Density functional theory data (r2SCAN) for an optimized crystal structure of Eu2Te4O11.

Calculated values
formation energy from the elements = -2923 kJ/mol of formula units
symmetry = C2/c, No. 15
total magnetization = 23.99 Bohr magnetons per cell

abc: 6.7809 6.7809 16.2889
angles: 75.64 75.64 45.21
Fractional coordinates of all 34 atoms:
O: 0.3897 0.5654 0.0998
O: 0.5654 0.3897 0.5998
O: 0.6103 0.4346 0.9002
O: 0.3184 0.1885 0.6276
O: 0.0417 0.8172 0.9523
O: 0.9583 0.1828 0.0477
O: 0.7437 0.6754 0.5530
O: 0.3246 0.2563 0.9470
O: 0.1828 0.9583 0.5477
O: 0.6816 0.8115 0.3724
O: 0.2563 0.3246 0.4470
O: 0.8115 0.6816 0.8724
O: 0.6754 0.7437 0.0530
O: 0.1446 0.8554 0.2500
O: 0.1986 0.1006 0.8293
O: 0.1006 0.1986 0.3293
O: 0.8172 0.0417 0.4523
O: 0.8014 0.8994 0.1707
O: 0.8554 0.1446 0.7500
O: 0.8994 0.8014 0.6707
O: 0.4346 0.6103 0.4002
O: 0.1885 0.3184 0.1276
Eu: 0.1350 0.6282 0.5375
Eu: 0.8650 0.3718 0.4625
Eu: 0.6282 0.1350 0.0375
Eu: 0.3718 0.8650 0.9625
Te: 0.4106 0.8516 0.6259
Te: 0.5894 0.1484 0.3741
Te: 0.8415 0.3980 0.7993
Te: 0.6020 0.1585 0.7007
Te: 0.1484 0.5894 0.8741
Te: 0.1585 0.6020 0.2007
Te: 0.3980 0.8415 0.2993
Te: 0.8516 0.4106 0.1259

3.
Density functional theory data (r2SCAN) for an optimized crystal structure of K2SeO4.

Calculated values
formation energy from the elements = -1047 kJ/mol of formula units
symmetry = Pnma, No. 62
total magnetization = 0.00 Bohr magnetons per cell

abc: 5.9688 7.6198 10.4109
angles: 90.00 90.00 90.00
Fractional coordinates of all 28 atoms:
K: 0.7500 0.1643 0.0803
K: 0.2500 0.8357 0.9197
K: 0.7500 0.4983 0.7945
K: 0.7500 0.9983 0.7055
K: 0.7500 0.6643 0.4197
K: 0.2500 0.0017 0.2945
K: 0.2500 0.3357 0.5803
K: 0.2500 0.5017 0.2055
O: 0.2500 0.9941 0.5710
O: 0.2500 0.4941 0.9290
O: 0.2500 0.6873 0.4361
O: 0.7500 0.5059 0.0710
O: 0.7500 0.8127 0.9361
O: 0.2500 0.1873 0.0639
O: 0.0238 0.2103 0.8415
O: 0.5238 0.2897 0.3415
O: 0.4762 0.7103 0.6585
O: 0.9762 0.7897 0.1585
O: 0.7500 0.0059 0.4290
O: 0.9762 0.2897 0.3415
O: 0.5238 0.7897 0.1585
O: 0.7500 0.3127 0.5639
O: 0.4762 0.2103 0.8415
O: 0.0238 0.7103 0.6585
Se: 0.7500 0.2215 0.4188
Se: 0.2500 0.2785 0.9188
Se: 0.2500 0.7785 0.5812
Se: 0.7500 0.7215 0.0812

4.
Density functional theory data (r2SCAN) for an optimized crystal structure of Ce2AlRu2.

Calculated values
'''
What are your top five dos and don’ts for hosting a perfect dinner?
- Prepare a dish you have not tried before.
- Leave more than one or two items to finish at the last minute.
- Plan an outdoor event without plan B.
- Forget to turn off the sprinklers for your garden party.
- Hesitate to hire your friends’ teenagers to help with serving and cleanup.
- Use place cards to insure a spirited evening for all. Consider which guests will enjoy each other’s company.
# 1
Density functional theory data (PBE) for Sr13Mg2Si20 after structural relaxation.

Unit cell a=9.838 b=15.281 c=23.351 alpha=90.00 beta=90.00 gamma=90.00
Positions (direct):
Mg  0.000  0.071  0.291
Mg  0.000  0.929  0.709
Mg  0.000  0.571  0.209
Mg  0.000  0.429  0.791
Mg  0.500  0.288  0.166
Mg  0.500  0.712  0.834
Mg  0.500  0.788  0.334
Mg  0.500  0.212  0.666
Si  0.000  0.553  0.087
Si  0.000  0.447  0.913
Si  0.000  0.053  0.413
Si  0.000  0.947  0.587
Si  0.000  0.669  0.018
Si  0.000  0.331  0.982
Si  0.000  0.169  0.482
Si  0.000  0.831  0.518
Si  0.000  0.817  0.056
Si  0.000  0.183  0.944
Si  0.000  0.317  0.444
Si  0.000  0.683  0.556
Si  0.000  0.860  0.154
Si  0.000  0.140  0.846
Si  0.000  0.360  0.346
Si  0.000  0.640  0.654
Si  0.000  0.255  0.270
Si  0.000  0.745  0.730
Si  0.000  0.755  0.230
Si  0.000  0.245  0.770
Si  0.000  0.011  0.179
Si  0.000  0.989  0.821
Si  0.000  0.511  0.321
Si  0.000  0.489  0.679
Si  0.000  0.126  0.109
Si  0.000  0.874  0.891
Si  0.000  0.626  0.391
Si  0.000  0.374  0.609
Si  0.000  0.926  0.986
Si  0.000  0.074  0.014
Si  0.000  0.426  0.514
Si  0.000  0.574  0.486
Si  0.198  0.514  0.142
Si  0.198  0.486  0.858
Si  0.802  0.014  0.358
Si  0.802  0.986  0.642
Si  0.802  0.486  0.858
Si  0.802  0.514  0.142
Si  0.198  0.986  0.642
Si  0.198  0.014  0.358
Si  0.302  0.379  0.119
Si  0.302  0.621  0.881
Si  0.698  0.879  0.381
Si  0.698  0.121  0.619
Si  0.698  0.621  0.881
Si  0.698  0.379  0.119
Si  0.302  0.121  0.619
Si  0.302  0.879  0.381
Si  0.500  0.614  0.941
Si  0.500  0.386  0.059
Si  0.500  0.114  0.559
Si  0.500  0.886  0.441
Si  0.500  0.660  0.039
Si  0.500  0.340  0.961
Si  0.500  0.160  0.461
Si  0.500  0.840  0.539
Si  0.500  0.816  0.056
Si  0.500  0.184  0.944
Si  0.500  0.316  0.444
Si  0.500  0.684  0.556
Si  0.500  0.859  0.153
Si  0.500  0.141  0.847
Si  0.500  0.359  0.347
Si  0.500  0.641  0.653
Si  0.500  0.241  0.281
Si  0.500  0.759  0.719
Si  0.500  0.741  0.219
Si  0.500  0.259  0.781
Si  0.500  0.994  0.814
Si  0.500  0.006  0.186
Si  0.500  0.494  0.686
Si  0.500  0.506  0.314
Si  0.500  0.882  0.886
Si  0.500  0.118  0.114
Si  0.500  0.382  0.614
Si  0.500  0.618  0.386
Si  0.500  0.927  0.985
Si  0.500  0.073  0.015
Si  0.500  0.427  0.515
Si  0.500  0.573  0.485
Sr  0.748  0.000  0.500
Sr  0.252  0.500  0.000
Sr  0.252  0.000  0.500
Sr  0.748  0.500  0.000
Sr  0.000  0.655  0.876
Sr  0.000  0.345  0.124
Sr  0.000  0.155  0.624
Sr  0.000  0.845  0.376
Sr  0.500  0.541  0.157
Sr  0.500  0.459  0.843
Sr  0.500  0.041  0.343
Sr  0.500  0.959  0.657
Sr  0.264  0.777  0.964
Sr  0.264  0.223  0.036
Sr  0.736  0.277  0.536
Sr  0.736  0.723  0.464
Sr  0.736  0.223  0.036
Sr  0.736  0.777  0.964
Sr  0.264  0.723  0.464
Sr  0.264  0.277  0.536
Sr  0.237  0.713  0.124
Sr  0.237  0.287  0.876
Sr  0.763  0.213  0.376
Sr  0.763  0.787  0.624
Sr  0.763  0.287  0.876
Sr  0.763  0.713  0.124
Sr  0.237  0.787  0.624
Sr  0.237  0.213  0.376
Sr  0.250  0.970  0.085
- Wander the fields and forest or local farm stands for flowers and table decorations.
- Serve a fabulous desert. I recommend our Mixed Berry Meringue Cake from our July cookbook. Alter the fruit by season.
- Keep the guest list to 6-10; intimate is best for conversation.
- Feel most alive and magical, shower and dress just before your guests arrive!
Where can our readers find you?
Visit us at on our website to learn more about the Loaves & Fishes Food Store, Loaves & Fishes Cookshop, and the Bridgehampton Inn and Restaurant. The Loaves & Fishes Farm Series cookbooks are also available for purchase there.
Follow us on Instagram for news and food inspiration at @loavesandfishesfoodstore, @loavesandfishescookshop, and @bridgehamptoninnandrestaurant.
Image Credits: Conor Harrigan

Teresa Deely is a graduate from Columbia University with majors in English and Creative Writing. She is a freelance writer and marketing assistant working for clients in the wellness, jewelry, creative, and sports industries. She believes that one’s skin is yet another canvas and vehicle for art, and has loved styling her hair and applying makeup from a young age. Spending much of her time in educating youth and leading enrichment programs for children, she is highly motivated in discovering new ways to care for herself and sharing them with others.